Detroit foreclosures, moving focus from residential to commercial foreclosures
_Attached: data records_
=====
# VAgO3 (GGA+U, relaxed)
# - Volume: 13.187 Å³/atom
# - Raw total energy: -6.36 eV/atom
data_VAgO3
_chemical_formula_sum 'V8 Ag8 O24'
_symmetry_space_group_name_H-M 'C 1 m 1'
_symmetry_Int_Tables_number 8
_cell_length_a 18.4622
_cell_length_b 3.6242
_cell_length_c 8.1561
_cell_angle_alpha 90.00
_cell_angle_beta 104.86
_cell_angle_gamma 90.00
loop_
_symmetry_equiv_pos_as_xyz
'x,y,z'
'x,-y,z'
'x+1/2,y+1/2,z'
'x+1/2,-y+1/2,z'
loop_
_atom_site_label
_atom_site_type_symbol
_atom_site_fract_x
_atom_site_fract_y
_atom_site_fract_z
V1 V 0.0000 0.0000 0.0000
V2 V 0.0497 0.5000 0.3325
V3 V 0.1903 0.0000 0.1993
V4 V 0.2439 0.5000 0.5313
Ag1 Ag 0.1203 0.0000 0.7237
Ag2 Ag 0.3224 0.0000 0.8988
Ag3 Ag 0.3698 0.5000 0.2618
Ag4 Ag 0.4195 0.0000 0.6342
O1 O 0.0206 0.5000 0.0635
O2 O 0.0605 0.0000 0.2699
O3 O 0.1117 0.5000 0.5322
O4 O 0.1272 0.0000 0.0055
O5 O 0.1814 0.5000 0.2681
O6 O 0.2213 0.0000 0.4722
O7 O 0.2534 0.5000 0.7461
O8 O 0.2755 0.0000 0.1585
O9 O 0.3361 0.5000 0.5186
O10 O 0.4072 0.5000 0.0101
O11 O 0.4641 0.0000 0.3706
O12 O 0.4898 0.5000 0.7846

----------

A plane-wave DFT calculation with PBE was carried out for crystalline Pm2SmInN at its relaxed geometry.

The crystal system is tetragonal. Its energy relative to the elements, uncorrected is -903 meV per atom.

It has space group P4/mmm (No. 123), with a = 4.9929 Å, b = 4.9929 Å, c = 4.9629 Å, α = 90.00°, β = 90.00° and γ = 90.00°. Symmetry generates all atoms from Pm at (0.0000, 0.5000, 0.0000), Sm at (0.0000, 0.0000, 0.5000), In at (0.5000, 0.5000, 0.5000) and N at (0.0000, 0.0000, 0.0000).

A plane-wave DFT calculation with PBE was carried out for crystalline NdTiCd4 at its relaxed geometry.

The crystal system is cubic. The energy relative to the elements is -5.52 kJ per mole of atoms.

It has space group F-43m (No. 216), with a = 8.2292 Å, b = 8.2292 Å, c = 8.2292 Å, α = 90.00°, β = 90.00° and γ = 90.00°. Symmetry generates all atoms from Nd at (0.0000, 0.0000, 0.0000), Ti at (0.2500, 0.2500, 0.7500) and Cd at (0.1245, 0.1245, 0.3755).

A plane-wave DFT calculation with PBE was carried out for crystalline AcPmAu at its relaxed geometry.

The crystal system is monoclinic. The energy relative to the elements is -51.84 kJ per mole of atoms.

It has space group P2_1/m (No. 11), with a = 8.5046 Å, b = 5.1979 Å, c = 13.0406 Å, α = 90.00°, β = 91.18° and γ = 90.00°. Symmetry generates all atoms from Ac at (0.0292, 0.2500, 0.2266), Ac at (0.3566, 0.7500, 0.5833), Ac at (0.4628, 0.7500, 0.8844), Pm at (0.0425, 0.2500, 0.5800), Pm at (0.1383, 0.2500, 0.9492), Pm at (0.3470, 0.7500, 0.2819), Au at (0.2164, 0.7500, 0.0650), Au at (0.2734, 0.2500, 0.4063) and Au at (0.2990, 0.2500, 0.7472).

A plane-wave DFT calculation with PBE was carried out for crystalline Cd2CuTe at its relaxed geometry.

The crystal system is tetragonal. Its energy relative to the elements, uncorrected is 119 meV per atom.
=====
Detroit foreclosures are shifting to commercial properties, which form the backbone of the economic development of the city. Even though, commercial properties form one fourth the amount of the residential foreclosures. Commercial Detroit foreclosures, needs extra importance.
Detroit foreclosures have seen many residential foreclosures. A recent survey shows that there is new phase of foreclosures coming up which includes more of commercial properties than residential ones.
Metro Detroit as it is called has never actually seen a metro city boom. It was only recently since 2002 that there were a handful of high end properties that were build and people started to invest in it. Because of Detroit’s ubiquitous automotive companies,

earlier also people invested in commercial properties than residential complexes.
Due to the economic downturn and the union predicament in the city, many industrialist and manufacturers had started to move out and as the conditions worsen the prices and rents of the properties also started to dip and few people invest in those areas. Also the construction industry in Michigan with offices in Detroit lost around 50,000 jobs this year adding to Detroit foreclosure numbers. The unemployment rate also surged up to 15 percent adding to the quandary.
According to a survey, Detroit ranked 50th when people where asked if, they would invest in commercial properties in Detroit. The fact is, in 2009 Detroit real estate market fell by a gigantic 95 percent that is $30 million dollar worth of investments. Compared to other cities vacant office rates here are as low as 23 to 25 percent. Further commercial Detroit foreclosures are expected to rise by 40 percent in the future and apparently rates are expected to plunge by 40 percent approximately.
Apart from the reasons state above, commercial properties descend is attributed to other factors like bad commercial real estate loans, this is a threat to the community banks. Moreover, small banks lend loans to unsustainable commercial properties and when these communities are affected by foreclosure they in turn affect the banks as well.
The above circumstances have led to the lack of demand for the properties in the Detroit area. There is also lack of revenue in the companies. Especially the small firms do not have the capital to protract or enough credit to take loans and buy new properties. They are currently sustaining buy cutting the current revenue or incurring losses.
It is a critical situation. Hence, to control the properties from going in for foreclosures, we need to keep supplementary reserves. The Sales and purchase agreement lending needs to be streamlined. Focus needs to be placed equally on residential and commercial development.